Sakurajima erupting through the Minami-dake crater on March 16 (Webcam capture)
Welcome to a rather later than usual Friday update. A rather unfortunate collection of unrelated events meant I did not have an opportunity to sit and write this until half past eight on Saturday evening. But my tardiness allowed the volcano gods some extra time to put on a show and they obliged with increased activity at Sakurajima and renewed activity at Zhupanovsky, but we’ll get to those later.

Map showing the areas of operation of the various VAAC bodies.
Continuing the recent trend, London, Toulouse, Anchorage, Montreal and Wellington all have no reports in their respective VAAC areas of operation.
A quieter time this week from Mexico’s Colima with only 1 report from the Washington VAAC on the 24th, reporting ash visible on satellite observations around 13000 feet.
Another volcano that has had a quiet period is Guatemala’s Volcano of Fire. Only two events are mentioned from the VAAC and those as emissions on the 22nd to 13000 feet and larger event on the 26th reaching 20000 feet.
Our first late entry into the report is El Popo, but it is just a brief mention on Washington VAAC of exhalations 21000 feet.
In Ecuador, the local Meteorological Watch Office reports ash to 14000 feet on the 18th and further webcam and satellite images on the 19th suggest ash to 18000 feet.
Webcam images from the 18th show Nevado del Ruiz sending ash up to 24000 feet, then we have a quite few days before a renewed burst of activity on the 22nd with MWO reporting ash to 20000 but this is not corroborated by satellite or webcam data. The final report came from the Bogata Control Centre (I assume control centre for the MWO) who reported a possible eruption reaching 20000 feet.
A new volcano into our report is Ecuador’s Sangay, a 17000 foot stratovolcano. Local MWO observer reported an emmision of ash to 20000 feet.
Santa Maria
Finally from Washington we have Santa Maria. reports describe the activity as light or discreet on the 24th and 25th reaching a height of 13000. Today, another report suggests an exhalation to 14000 feet.
Switching VAACs we head to the other side of the world and Dukono. This volcano continues its recent activity with a steady emission of ash to 7000 feet from the end of last week, however I have no information from the VAAC of activity over the last couple of days with the last report on the 24th.
Sinabung continues the same pattern it has for recent times with daily plumes visible to around 14000 feet. The CVGHM (Center for Volcanology and Geological Hazard Mitigation) reported a “high level eruption” on the 23rd, however even this only reached 18000 feet. Sinabung is another volcano however, that the reports go silent for on the 24th.
Bagana returns to the report with 3 days of reported activity form the 23rd to the 25th. Satellite data suggests a steady plume from the volcano reaching 12000 feet.
Switching to Tokyo VAAC, Alaid once more appears on our list with satellite data reporting ash to 10000 on the 22nd and 26th of March.
Sakurajima started the weekly report with normal activity for this volcano. Explosions and variously sized plumes were reported from the 23rd sending normally short lived plumes to around 12000 feet from the Showa crater. But early on the 25th (local time) Mike Ross captured the below image and posted it onto the VC facebook page:
During the subsequent discussion (both here and on Facebook), it was reported that the eruption took place in the Minamidake crater instead of the more normal Showa crater.
A further burst of activity appears to have taken place today. The VAAC reports an explosion of ash to 12000 feet followed by a “continuous” plume to 13000 feet and a further explosion of material to 10000 feet.
Another busy week from the Russian volcano, starting on the 18th, we have reports of ash to 7000 feet and then a quiet couple of days until an eruption on the 20th to 16000 feet. This was followed by another quiet day with nothing reported in the 23rd, but reports of activity for the rest of the week until today with plumes sent to 13000 feet.
Recent activity continues on Suwanosejima with explosions reported to send as up to 4000 to 8000 feet from the 21st until the 26th.
Starting on the 24th, satellite data reported a “possible eruption”, however this was soon confirmed and the ash continued to emit through the 25th at a similar level.
Finally we head to South America and Copahue. The Buenos Aires VAAC reported a “slightly stronger” ash plume on the 22nd up to 12000 feet, before returning to it’s recent state of light ash and steam reports for the rest of the week.
This concludes this weeks roundup of the VAAC reports. In contrast to recent weeks, there is a lesser number of images I’ve included in this week’s report. This is mainly because I found there was a lesser number of suitable images in this last week. I will admit however, that all my images I collected on Thursday while I was preparing to write this (before everything blew up and I didn’t get a chance). I just did not have the time to hunt down images of the last couple of days to be included, so hopefully next week I will have some further images of Zhupanovsky and Sakurajima to include.
I would love to spend much more time writing this, and I will freely admit this week’s report in particular feels rather rushed to me. But due to the start of British Summer Time overnight, our clocks go forward one hour tonight and I will be up for work at 0530 tomorrow and losing an hours sleep to boot!
Next week should see a more normal service with the report properly published in it’s proper Friday slot.
Until then, thanks for reading!
Thanks Hobbs! I am looking forward to these reports.
Great job again Hobbs! Thanks for the reports!
Thank You, Saturday is fine too, don’t stress,
Happy Easter!
Thank you! I am most grateful for your work on these! Fascinating reading and a great way to catch up/
Great work, thank you.
Good stuff, thank you for your efforts.
Great work Hobbes, thank you!
Happy Easter
Thanks for the updates – been a bit of a slow year so far for volcanoes in 2016.
But…. Isnt It “volcano season”?
You just had to Tommy? 😉
Yup, couldn’t resist!
Certainly don’t stress yourself Hobbes – you are doing a great job!
From the AVO on Facebook:
Pavlof Volcano Activity Notice 20160327_1712
_Someone pasted records of crystals at this point_
=====
This entry pairs a crystal structure of Tl3VZn2F9 with its computed XRD peak list. Radiation: Cu Kα (λ = 1.5418 Å). Structure: a cell relaxed with PBE+U.
Kinematic intensities with the Lorentz-polarization factor, no thermal factor.

Top 10 peaks for 10 to 90 degrees two-theta, by angle:
Position (°2θ)  intensity  hkl
21.0  25  1 0 1
29.9  100  1 1 0
36.9  24  0 2 1
42.8  33  2 0 2
48.2  13  2 1 1
53.1  41  3 0 0
62.2  21  2 2 0
70.5  18  3 1 2
74.5  9  4 0 1
86.1  22  4 1 0

Structural model:
a b c (Å): 5.9735 5.9735 7.3172
angles (deg): 90.00 90.00 120.00
Sites, in units of the cell vectors:
Tl1 0.0000 0.0000 0.0000
Tl2 0.3333 0.6667 0.6681
Tl3 0.6667 0.3333 0.3319
V1 0.0000 0.0000 0.5000
Zn1 0.3333 0.6667 0.1644
Zn2 0.6667 0.3333 0.8356
F1 0.0000 0.5000 0.0000
F2 0.1692 0.3383 0.3297
F3 0.1692 0.8308 0.3297
F4 0.3383 0.1692 0.6703
F5 0.5000 0.0000 0.0000
F6 0.5000 0.5000 0.0000
F7 0.6617 0.8308 0.3297
F8 0.8308 0.1692 0.6703
F9 0.8308 0.6617 0.6703

~~~~~

The following is a computed X-ray diffraction stick pattern of RbSn3Pb9. It was derived from a PBE-relaxed structure, using Cu Kα (weighted mean of Kα1 and Kα2).
Lines closer than 0.1° are merged.

Top 10 peaks for 10° ≤ 2θ ≤ 90°, in order of rising 2θ:
Position (°2θ)  d [Å]  I_rel  h k l
26.94  3.309  46  1 3 1
30.97  2.888  67  0 4 2
31.11  2.875  60  1 1 -3
31.20  2.867  62  1 5 -1
31.70  2.823  61  2 2 -2
34.84  2.575  63  0 6 1
34.93  2.569  39  1 5 -2
35.39  2.536  100  2 0 1
51.04  1.789  31  3 5 -1
55.55  1.654  34  2 6 -4

```
data_RbSn3Pb9
_chemical_formula_sum 'Rb2 Sn6 Pb18'
_space_group_name_H-M_alt 'C 1 2/m 1'
_space_group_IT_number 12
_cell_length_a 6.472
_cell_length_b 16.301
_cell_length_c 8.797
_cell_angle_alpha 90.00
_cell_angle_beta 111.53
_cell_angle_gamma 90.00
loop_
_space_group_symop_operation_xyz
'x,y,z'
'-x,-y,-z'
'-x,y,-z'
'x,-y,z'
'x+1/2,y+1/2,z'
'-x+1/2,-y+1/2,-z'
'-x+1/2,y+1/2,-z'
'x+1/2,-y+1/2,z'
loop_
_atom_site_label
_atom_site_type_symbol
_atom_site_fract_x
_atom_site_fract_y
_atom_site_fract_z
_atom_site_occupancy
Rb1 Rb 0.000 0.000 0.000 1
Sn1 Sn 0.000 0.000 0.500 1
Sn2 Sn 0.250 0.250 0.000 1
Pb1 Pb 0.000 0.500 0.500 1
Pb2 Pb 0.114 0.390 0.217 1
Pb3 Pb 0.174 0.178 0.351 1
```

~~~~~

1.
The following is a theoretical X-ray diffraction stick pattern of Y3Mg3GaAu2. It was derived from a DFT-relaxed cell (GGA-PBE, OQMD), using a wavelength of 1.5418 Å.

Principal peaks in the range 2θ = 10–90°, by intensity:
index	Position (°2θ)	I/Imax
1 1 1	32.15	100
2 0 1	34.93	78
1 1 0	23.14	62
1 0 0	13.30	44
3 0 0	40.66	44
2 1 1	42.32	33
1 0 1	25.80	26
3 0 2	62.16	25
3 2 1	65.32	22
2 1 0	35.68	21

Cell and atoms:
Unit cell a=7.687 b=7.687 c=4.038 alpha=90.00 beta=90.00 gamma=120.00
Element x y z (fractional)
Y 0.000 0.590 0.000
Y 0.410 0.410 0.000
Y 0.590 0.000 0.000
Mg 0.000 0.249 0.500
Mg 0.249 0.000 0.500
Mg 0.751 0.751 0.500
Ga 0.000 0.000 0.000
Au 0.333 0.667 0.500
Au 0.667 0.333 0.500

2.
=====
Pavlof (Moving to RED/WARNING): Eruption with little precursory activity. Ash cloud to 20,000 ft ASL
Helicorder for Pavlof.

Seems most ash will go in the ocean, I was worried about King Cove, hope everyone will be OK.
Ashfall map changed, not sure it will affect anyone, it is still dark in Alaska, all I see are stars, bright ones.
Sun is coming up and the plume is visible. I saw the fountain earlier. look at the loop if you want to see it.
Pavlof’s plume is visible on the FAA webcam (Cold Bay NE). There are some nice images in the loop from the last few hours.
Thanks Hobbes. Totally understandable. Happy Easter! 🙂
Pavlof is still erupting this morning. Ash reported at 37,000 feet and seismicity remains at very high levels.
An article about the eruption of Pavlof!